Power transmission in India has traditionally been a mammoth activity. India has an expansive geography that makes long transmission lines, straddling across states, a ubiquitous sight. The country’s goal of creating a National Grid linking all the four regional grids calls for a gigantic power transmission network.
-- Inserted here: quantum chemistry results --
- - -
No. 1
Entry from the OMol25 dataset: a cluster of 8 separate species, C14H42NO10 in total at a distorted geometry (ωB97M-V with the def2-TZVPD basis set).

CARTESIAN COORDINATES (ANGSTROEM)
N1 -0.723401 0.012509 -0.196387
O1 0.299689 -0.632675 0.056141
O2 -1.602092 0.070561 0.714360
O3 -1.066141 0.010415 -1.401886
C1 2.057499 1.117935 -4.991771
C2 1.079133 0.438447 -4.043259
O4 0.486853 1.516630 -3.101039
H1 2.851831 1.519501 -4.376385
H2 1.584177 1.838918 -5.527860
H3 2.160221 0.388982 -5.918631
H4 1.524776 -0.284092 -3.326800
H5 0.100202 -0.130283 -4.385711
H6 -0.033893 1.095014 -2.555033
C3 -1.397514 -3.927916 3.472827
C4 -1.248909 -2.860002 2.402495
O5 -1.865267 -1.600156 2.806352
H7 -1.013056 -4.857977 3.527700
H8 -2.318307 -4.115142 3.658583
H9 -1.171767 -3.416927 4.539907
H10 -1.664314 -2.908226 1.390764
H11 -0.299738 -2.492600 2.149171
H12 -1.462669 -0.989416 2.232742
C5 -1.499349 4.684343 2.696928
C6 -1.248950 3.385974 1.953839
O6 -2.188390 2.396058 2.463012
H13 -0.818739 5.392525 2.290723
H14 -1.519158 4.391491 3.726328
H15 -2.437389 4.954843 2.257929
H16 -0.267887 2.951473 2.244320
H17 -1.252510 3.615210 0.995284
H18 -2.160615 1.549378 1.977053
C7 1.936156 0.780290 4.425069
C8 1.165240 0.297236 3.202933
O7 1.961322 0.121582 2.141548
H19 1.209052 1.117426 5.228265
H20 2.753154 1.411661 4.325237
H21 2.614066 0.038268 4.883729
H22 0.369910 1.044916 3.159212
H23 0.626543 -0.603869 3.349433
H24 1.396276 -0.123154 1.373673
C9 -5.526776 2.781997 -1.149078
C10 -4.248866 1.946953 -0.874435
O8 -3.460197 1.745006 -2.043266
H25 -5.115725 3.651204 -1.596380
H26 -5.779942 3.328505 -0.331051
H27 -6.116160 2.415486 -1.908732
H28 -4.471702 0.962447 -0.202421
H29 -3.683872 2.476719 -0.263337
H30 -2.562534 1.371802 -1.847097
C11 5.370709 -0.461632 -1.231330
C12 3.984229 -0.164633 -0.742911
O9 3.126876 -1.151012 -1.112238
H31 6.051108 0.488277 -0.982764
H32 5.645583 -0.715863 -2.292726
H33 5.997428 -1.130076 -0.547042
H34 3.750923 0.687509 -1.281503
H35 3.832687 0.289696 0.236326
H36 2.312060 -1.063533 -0.676354
C13 0.549009 -4.759120 -2.833605
C14 0.631277 -3.328344 -2.079771
O10 -0.643977 -2.770627 -2.241862
H37 -0.007106 -4.883723 -3.648610
H38 0.018064 -5.408176 -1.951470
H39 1.612517 -5.366640 -2.729309
H40 1.175967 -2.632608 -2.542862
H41 1.114557 -3.551793 -1.151951
H42 -0.472180 -1.956965 -1.795013

Cartesian forces (eV/Å) of the 3 atoms listed first:
-2.913 -4.839 -0.150
2.406 0.668 0.761
0.771 2.136 -0.701

HOMO level, hartree: -0.255
Orbital gap, eV: 9.76
LUMO level, eV: 2.822
Total charge: -1
Energy above the lowest of the compared OMol25 structures with the same formula, charge and spin, kJ/mol: 962.5

These are the Löwdin partial charges, in e, on atoms 1 to 6: N -0.449; O -0.022; O -0.018; O -0.023; C -0.090; C -0.225


No. 2
Entry from the OMol25 dataset: a cluster of 7 separate species, C14H42O7 in total at a distorted geometry (ωB97M-V with the def2-TZVPD basis set).

CARTESIAN COORDINATES (ANGSTROEM)
C1 -1.089223 -3.633821 3.431273
- - -
Even as India is transmitting power at much higher voltages than ever before, the standards of the basic infrastructure—transmission towers and conductors—largely remains unaltered. Power conductor technology has seen only a few radical shifts in technology.
Till around the 1940s, copper conductors were in vogue. However, copper shortages made engineers explore aluminium that was cheaper due to its relatively larger availability. From pure aluminium conductors, we moved to aluminium conductor steel reinforced (ACSR), a technology that was developed in the USA, c1940. Thereon, Europe came up with conductors using aluminium alloy, giving rise to what is popularly known as AAAC or all aluminium alloy conductors. Over the past three decades, ACSR and AAAC have been in vogue in India.
An abundance of aluminium and a huge demand for power conductors has spawned a diverse and competitive class of power conductor manufacturers. In fact, the world’s largest power conductor manufacturer is part of the homegrown Sterlite Group. India is regarded as a competitive and superior supplier of power conductors to the global market. All the same, there has not been much departure from the ACSR-AAAC culture.
One obvious reason for the indolence in power conductor technology emanates from the fact that power transmission has been a largely neglected area till recently. Further, power transmission remained largely a public sector prerogative. The government’s slow-mover approach in adopting new technology is well known. It is universally accepted that it is the private sector that will define new technology paradigms.
Slowly, but perceptibly, new conductor technology is seeping into India. Companies like 3M, CTC Corporation, etc are introducing new technologies to the subcontinent and the private sector has reciprocated in full measure through strategic tie-ups. One is beginning to see radically different conductor technology such as the use of carbon composite core as opposed to the generic steel core. Quite literally, changes are taking place at the core, not just at the surface!
As more power generation capacity gets added – and we are expecting to have 3 lakh mw installed by 2017 – efficient transmission systems will need to be in place. While new lines will be indispensable where there are none today, there should be a conscious effort in augmenting capacity of existing transmission line through efficient conductors, without impinging upon precious land resources and seeking the ever-arduous right-of-way!
The text is interrupted by quantum chemistry results:
┌──
[1]
{
  "formula": "C47H68CaN4O3P2",
  "method": "wB97M-V/def2-TZVPD",
  "symbols": ["H", "H", "H", "C", "C", "H", "H", "C", "H", "C", "H", "C", "C", "H", "H", "C", "H", "C", "C", "C", "C", "O", "H", "C", "H", "H", "H", "H", "C", "C", "H", "H", "H", "C", "O", "N", "C", "N", "H", "C", "C", "P", "H", "O", "C", "H", "H", "C", "H", "H", "C", "H", "P", "C", "N", "H", "H", "C", "H", "H", "H", "C", "H", "H", "C", "H", "H", "H", "H", "H", "H", "H", "C", "H", "C", "N", "C", "C", "H", "H", "H", "H", "H", "C", "C", "C", "H", "C", "H", "H", "H", "H", "H", "C", "H", "H", "C", "C", "H", "C", "H", "C", "H", "H", "C", "Ca", "C", "H", "C", "H", "H", "H", "H", "H", "H", "C", "H", "C", "H", "C", "C", "C", "H", "C", "H"],
└──
Here the text continues:
To put it in technical jargon, India must become a good “conductor” of technology; it cannot afford to remain “insulated”.